Activity:
Return the whole of the block further below word for word, please.

Given:
+++
# 1
Computed, not measured: YMg14ZnO16 after structural relaxation at the PBE level of DFT.

Results
ρ, g/cm3: 3.8
Magnetic moment, μB per formula unit: 0.01
E_tot, eV per atom: -5.978
Offset from the most stable computed form, meV per atom: 5

Geometry as CIF:
```
data_YMg14ZnO16
_symmetry_space_group_name_H-M 'P m m m'
_symmetry_Int_Tables_number 47
_cell_length_a 4.3496
_cell_length_b 8.7064
_cell_length_c 8.7746
_cell_angle_alpha 90.00
_cell_angle_beta 90.00
_cell_angle_gamma 90.00
loop_
_symmetry_equiv_pos_as_xyz
'x,y,z'
'-x,-y,-z'
'-x,-y,z'
'x,y,-z'
'x,-y,-z'
'-x,y,z'
'-x,y,-z'
'x,-y,z'
loop_
_atom_site_label
_atom_site_fract_x
_atom_site_fract_y
_atom_site_fract_z
Y1 0.0000 0.0000 0.0000
Mg1 0.0000 0.2567 0.2596
Mg2 0.0000 0.5000 0.0000
Mg3 0.0000 0.5000 0.5000
Mg4 0.5000 0.0000 0.2652
Mg5 0.5000 0.2523 0.5000
Mg6 0.5000 0.2631 0.0000
Mg7 0.5000 0.5000 0.2534
Zn1 0.0000 0.0000 0.5000
O1 0.0000 0.0000 0.2505
O2 0.0000 0.2599 0.0000
O3 0.0000 0.2662 0.5000
O4 0.0000 0.5000 0.2477
O5 0.5000 0.0000 0.0000
O6 0.5000 0.0000 0.5000
O7 0.5000 0.2505 0.2481
O8 0.5000 0.5000 0.0000
O9 0.5000 0.5000 0.5000
```

# 2
Computed, not measured: YMg6ZnO8 after structural relaxation at the PBE level of DFT.

Results
ρ, g/cm3: 4.0
Magnetic moment, μB per formula unit: 0.00
E_tot, eV per atom: -6.011
Offset from the most stable computed form, meV per atom: 0

Geometry as CIF:
```
data_YMg6ZnO8
_symmetry_space_group_name_H-M 'P 4/m m m'
_symmetry_Int_Tables_number 123
_symmetry_space_group_name_Hall '-P 4 2'
_cell_length_a 4.4237
_cell_length_b 4.4237
_cell_length_c 9.0205
_cell_angle_alpha 90.00
_cell_angle_beta 90.00
_cell_angle_gamma 90.00
loop_
_atom_site_label
_atom_site_fract_x
_atom_site_fract_y
_atom_site_fract_z
Y1 0.0000 0.0000 0.0000
Mg1 0.0000 0.0000 0.5000
Mg2 0.0000 0.5000 0.2674
Mg3 0.5000 0.5000 0.5000
Zn1 0.5000 0.5000 0.0000
O1 0.0000 0.0000 0.2592
O2 0.0000 0.5000 0.0000
O3 0.0000 0.5000 0.5000
O4 0.5000 0.5000 0.2718
```

# 3
Computed, not measured: YMg14ZnO16 after structural relaxation at the PBE level of DFT.

Results
ρ, g/cm3: 3.8
Magnetic moment, μB per formula unit: 0.01
E_tot, eV per atom: -5.983
Offset from the most stable computed form, meV per atom: 0

Geometry as CIF:
```
data_YMg14ZnO16
_symmetry_space_group_name_H-M 'P 4/m m m'
_symmetry_Int_Tables_number 123
_symmetry_space_group_name_Hall '-P 4 2'
_cell_length_a 8.7170
_cell_length_b 8.7170
_cell_length_c 4.3507
_cell_angle_alpha 90.00
_cell_angle_beta 90.00
_cell_angle_gamma 90.00
loop_
_atom_site_label
_atom_site_fract_x
_atom_site_fract_y
_atom_site_fract_z
Y1 0.0000 0.0000 0.0000
Mg1 0.0000 0.2641 0.5000
Mg2 0.0000 0.5000 0.0000
Mg3 0.2529 0.5000 0.5000
Mg4 0.2591 0.2591 0.0000
Zn1 0.5000 0.5000 0.0000
O1 0.0000 0.0000 0.5000
O2 0.0000 0.2573 0.0000
O3 0.0000 0.5000 0.5000
O4 0.2367 0.5000 0.0000
O5 0.2474 0.2474 0.5000
O6 0.5000 0.5000 0.5000
```

# 4
Computed, not measured: YMg6ZnO8 after structural relaxation at the PBE level of DFT.

Results
ρ, g/cm3: 4.0
Magnetic moment, μB per formula unit: 0.11
E_tot, eV per atom: -5.983
Offset from the most stable computed form, meV per atom: 28

Geometry as CIF:
```
data_YMg6ZnO8
_symmetry_space_group_name_H-M 'P 4/m m m'
_symmetry_Int_Tables_number 123
_symmetry_space_group_name_Hall '-P 4 2'
_cell_length_a 4.4369
_cell_length_b 4.4369
_cell_length_c 8.9822
_cell_angle_alpha 90.00
_cell_angle_beta 90.00
_cell_angle_gamma 90.00
loop_
_atom_site_label
_atom_site_fract_x
_atom_site_fract_y
_atom_site_fract_z
Y1 0.0000 0.0000 0.0000
Mg1 0.0000 0.5000 0.2677
Mg2 0.5000 0.5000 0.0000
Mg3 0.5000 0.5000 0.5000
Zn1 0.0000 0.0000 0.5000
O1 0.0000 0.0000 0.2505
O2 0.0000 0.5000 0.0000
O3 0.0000 0.5000 0.5000
O4 0.5000 0.5000 0.2499
```

# 5
Computed, not measured: MgZnO3 after structural relaxation at the PBE level of DFT.

Results
ρ, g/cm3: 4.1
Magnetic moment, μB per formula unit: 0.05
E_tot, eV per atom: -4.363

Geometry as CIF:
```
data_MgZnO3
_symmetry_space_group_name_H-M 'P m -3 m'
_symmetry_Int_Tables_number 221
+++

Worked solution:
# 1
Computed, not measured: YMg14ZnO16 after structural relaxation at the PBE level of DFT.

Results
ρ, g/cm3: 3.8
Magnetic moment, μB per formula unit: 0.01
E_tot, eV per atom: -5.978
Offset from the most stable computed form, meV per atom: 5

Geometry as CIF:
```
data_YMg14ZnO16
_symmetry_space_group_name_H-M 'P m m m'
_symmetry_Int_Tables_number 47
_cell_length_a 4.3496
_cell_length_b 8.7064
_cell_length_c 8.7746
_cell_angle_alpha 90.00
_cell_angle_beta 90.00
_cell_angle_gamma 90.00
loop_
_symmetry_equiv_pos_as_xyz
'x,y,z'
'-x,-y,-z'
'-x,-y,z'
'x,y,-z'
'x,-y,-z'
'-x,y,z'
'-x,y,-z'
'x,-y,z'
loop_
_atom_site_label
_atom_site_fract_x
_atom_site_fract_y
_atom_site_fract_z
Y1 0.0000 0.0000 0.0000
Mg1 0.0000 0.2567 0.2596
Mg2 0.0000 0.5000 0.0000
Mg3 0.0000 0.5000 0.5000
Mg4 0.5000 0.0000 0.2652
Mg5 0.5000 0.2523 0.5000
Mg6 0.5000 0.2631 0.0000
Mg7 0.5000 0.5000 0.2534
Zn1 0.0000 0.0000 0.5000
O1 0.0000 0.0000 0.2505
O2 0.0000 0.2599 0.0000
O3 0.0000 0.2662 0.5000
O4 0.0000 0.5000 0.2477
O5 0.5000 0.0000 0.0000
O6 0.5000 0.0000 0.5000
O7 0.5000 0.2505 0.2481
O8 0.5000 0.5000 0.0000
O9 0.5000 0.5000 0.5000
```

# 2
Computed, not measured: YMg6ZnO8 after structural relaxation at the PBE level of DFT.

Results
ρ, g/cm3: 4.0
Magnetic moment, μB per formula unit: 0.00
E_tot, eV per atom: -6.011
Offset from the most stable computed form, meV per atom: 0

Geometry as CIF:
```
data_YMg6ZnO8
_symmetry_space_group_name_H-M 'P 4/m m m'
_symmetry_Int_Tables_number 123
_symmetry_space_group_name_Hall '-P 4 2'
_cell_length_a 4.4237
_cell_length_b 4.4237
_cell_length_c 9.0205
_cell_angle_alpha 90.00
_cell_angle_beta 90.00
_cell_angle_gamma 90.00
loop_
_atom_site_label
_atom_site_fract_x
_atom_site_fract_y
_atom_site_fract_z
Y1 0.0000 0.0000 0.0000
Mg1 0.0000 0.0000 0.5000
Mg2 0.0000 0.5000 0.2674
Mg3 0.5000 0.5000 0.5000
Zn1 0.5000 0.5000 0.0000
O1 0.0000 0.0000 0.2592
O2 0.0000 0.5000 0.0000
O3 0.0000 0.5000 0.5000
O4 0.5000 0.5000 0.2718
```

# 3
Computed, not measured: YMg14ZnO16 after structural relaxation at the PBE level of DFT.

Results
ρ, g/cm3: 3.8
Magnetic moment, μB per formula unit: 0.01
E_tot, eV per atom: -5.983
Offset from the most stable computed form, meV per atom: 0

Geometry as CIF:
```
data_YMg14ZnO16
_symmetry_space_group_name_H-M 'P 4/m m m'
_symmetry_Int_Tables_number 123
_symmetry_space_group_name_Hall '-P 4 2'
_cell_length_a 8.7170
_cell_length_b 8.7170
_cell_length_c 4.3507
_cell_angle_alpha 90.00
_cell_angle_beta 90.00
_cell_angle_gamma 90.00
loop_
_atom_site_label
_atom_site_fract_x
_atom_site_fract_y
_atom_site_fract_z
Y1 0.0000 0.0000 0.0000
Mg1 0.0000 0.2641 0.5000
Mg2 0.0000 0.5000 0.0000
Mg3 0.2529 0.5000 0.5000
Mg4 0.2591 0.2591 0.0000
Zn1 0.5000 0.5000 0.0000
O1 0.0000 0.0000 0.5000
O2 0.0000 0.2573 0.0000
O3 0.0000 0.5000 0.5000
O4 0.2367 0.5000 0.0000
O5 0.2474 0.2474 0.5000
O6 0.5000 0.5000 0.5000
```

# 4
Computed, not measured: YMg6ZnO8 after structural relaxation at the PBE level of DFT.

Results
ρ, g/cm3: 4.0
Magnetic moment, μB per formula unit: 0.11
E_tot, eV per atom: -5.983
Offset from the most stable computed form, meV per atom: 28

Geometry as CIF:
```
data_YMg6ZnO8
_symmetry_space_group_name_H-M 'P 4/m m m'
_symmetry_Int_Tables_number 123
_symmetry_space_group_name_Hall '-P 4 2'
_cell_length_a 4.4369
_cell_length_b 4.4369
_cell_length_c 8.9822
_cell_angle_alpha 90.00
_cell_angle_beta 90.00
_cell_angle_gamma 90.00
loop_
_atom_site_label
_atom_site_fract_x
_atom_site_fract_y
_atom_site_fract_z
Y1 0.0000 0.0000 0.0000
Mg1 0.0000 0.5000 0.2677
Mg2 0.5000 0.5000 0.0000
Mg3 0.5000 0.5000 0.5000
Zn1 0.0000 0.0000 0.5000
O1 0.0000 0.0000 0.2505
O2 0.0000 0.5000 0.0000
O3 0.0000 0.5000 0.5000
O4 0.5000 0.5000 0.2499
```

# 5
Computed, not measured: MgZnO3 after structural relaxation at the PBE level of DFT.

Results
ρ, g/cm3: 4.1
Magnetic moment, μB per formula unit: 0.05
E_tot, eV per atom: -4.363

Geometry as CIF:
```
data_MgZnO3
_symmetry_space_group_name_H-M 'P m -3 m'
_symmetry_Int_Tables_number 221